### Activity
It remains to return the lines below up to the one that holds "0.750 0.500", that line included.
### Excerpt
Entry 1:
Here is a relaxed Sr6H12Ru crystal from Alexandria via LeMat-Bulk. Energies are from PBE.

Values from the calculation:
Crystal system: trigonal
Symmetry: R-3, No. 148
Total energy in eV/cell: -67.1

Lattice parameters (Å, degrees): 6.727 6.727 6.727 98.06 98.06 98.06
Fractional positions:
Sr1 0.091 0.653 0.780
Sr2 0.220 0.909 0.347
Sr3 0.347 0.220 0.909
Sr4 0.653 0.780 0.091
Sr5 0.780 0.091 0.653
Sr6 0.909 0.347 0.220
H1 0.029 0.333 0.891
H2 0.109 0.971 0.667
H3 0.243 0.529 0.447
H4 0.333 0.891 0.029
H5 0.447 0.243 0.529
H6 0.471 0.553 0.757
H7 0.529 0.447 0.243
H8 0.553 0.757 0.471
H9 0.667 0.109 0.971
H10 0.757 0.471 0.553
H11 0.891 0.029 0.333
H12 0.971 0.667 0.109
Ru1 0.500 0.500 0.500



Entry 2:
Here is a relaxed MnSb2Se crystal from Alexandria via LeMat-Bulk. Energies are from PBE.

Values from the calculation:
Crystal system: orthorhombic
Symmetry: Cmmm, No. 65
Total energy in eV/cell: -21.1

Lattice parameters (Å, degrees): 6.004 6.004 3.730 90.00 90.00 133.39
Fractional positions:
Mn1 0.000 0.000 0.000
Sb1 0.173 0.827 0.500
Sb2 0.827 0.173 0.500
Se1 0.500 0.500 0.000



Entry 3:
Here is a relaxed SrPrCrN4 crystal from Alexandria via LeMat-Bulk. Energies are from PBE.

Values from the calculation:
Crystal system: monoclinic
Symmetry: P2_1/m, No. 11
Total energy in eV/cell: -108.9

Lattice parameters (Å, degrees): 5.899 5.618 7.169 90.00 106.86 90.00
Fractional positions:
Sr1 0.212 0.250 0.428
Sr2 0.788 0.750 0.572
Pr1 0.280 0.250 0.948
Pr2 0.720 0.750 0.052
Cr1 0.268 0.750 0.195
Cr2 0.732 0.250 0.805
N1 0.075 0.750 0.340
N2 0.097 0.750 0.953
N3 0.457 0.508 0.231
N4 0.457 0.992 0.231
N5 0.543 0.008 0.769
N6 0.543 0.492 0.769
N7 0.903 0.250 0.047
N8 0.925 0.250 0.660



Entry 4:
Here is a relaxed SbNClF2 crystal from Alexandria via LeMat-Bulk. Energies are from PBE.

Values from the calculation:
Crystal system: tetragonal
Relative energy among the computed polymorphs in meV per atom: 0
Symmetry: P4/mmm, No. 123
Total energy in eV/cell: -20.0

Lattice parameters (Å, degrees): 4.254 4.254 4.393 90.00 90.00 90.00
Fractional positions:
Sb1 0.000 0.000 0.000
N1 0.000 0.000 0.500
Cl1 0.500 0.500 0.500
F1 0.000 0.500 0.000
F2 0.500 0.000 0.000



Entry 5:
Here is a relaxed Co2Re crystal from Alexandria via LeMat-Bulk. Energies are from PBE.

Values from the calculation:
Crystal system: cubic
Relative energy among the computed polymorphs in meV per atom: 1136
Symmetry: Pa-3, No. 205
Total energy in eV/cell: -93.6

Lattice parameters (Å, degrees): 5.600 5.600 5.600 90.00 90.00 90.00
Fractional positions:
Co1 0.118 0.118 0.118
Co2 0.118 0.382 0.618
Co3 0.382 0.618 0.118
Co4 0.382 0.882 0.618
Co5 0.618 0.118 0.382
Co6 0.618 0.382 0.882
Co7 0.882 0.618 0.382
Co8 0.882 0.882 0.882
Re1 0.000 0.000 0.500
Re2 0.000 0.500 0.000
Re3 0.500 0.000 0.000
Re4 0.500 0.500 0.500



Entry 6:
Here is a relaxed SrFe2Mo crystal from Alexandria via LeMat-Bulk. Energies are from PBE.

Values from the calculation:
Crystal system: monoclinic
Relative energy among the computed polymorphs in meV per atom: 466
Symmetry: P2/m, No. 10
Total energy in eV/cell: -25.7

Lattice parameters (Å, degrees): 2.883 4.875 4.870 90.00 90.12 90.00
Fractional positions:
Sr1 0.000 0.000 0.000
Fe1 0.500 0.000 0.500
Fe2 0.500 0.500 0.000
Mo1 0.000 0.500 0.500



Entry 7:
Here is a relaxed BeCr2Te crystal from Alexandria via LeMat-Bulk. Energies are from PBE.

Values from the calculation:
Crystal system: tetragonal
Relative energy among the computed polymorphs in meV per atom: 162
Symmetry: I4/mmm, No. 139
Total energy in eV/cell: -24.2

Lattice parameters (Å, degrees): 4.585 4.585 4.585 129.24 129.24 74.63
Fractional positions:
Be1 0.000 0.000 0.000
Cr1 0.250 0.750 0.500
Cr2 0.750 0.250 0.500
Te1 0.500 0.500 0.000



Entry 8:
Here is a relaxed NiB2Pt4 crystal from Alexandria via LeMat-Bulk. Energies are from PBE.

Values from the calculation:
Crystal system: monoclinic
Symmetry: Cc, No. 9
Total energy in eV/cell: -87.8
### Here it is
Entry 1:
Here is a relaxed Sr6H12Ru crystal from Alexandria via LeMat-Bulk. Energies are from PBE.

Values from the calculation:
Crystal system: trigonal
Symmetry: R-3, No. 148
Total energy in eV/cell: -67.1

Lattice parameters (Å, degrees): 6.727 6.727 6.727 98.06 98.06 98.06
Fractional positions:
Sr1 0.091 0.653 0.780
Sr2 0.220 0.909 0.347
Sr3 0.347 0.220 0.909
Sr4 0.653 0.780 0.091
Sr5 0.780 0.091 0.653
Sr6 0.909 0.347 0.220
H1 0.029 0.333 0.891
H2 0.109 0.971 0.667
H3 0.243 0.529 0.447
H4 0.333 0.891 0.029
H5 0.447 0.243 0.529
H6 0.471 0.553 0.757
H7 0.529 0.447 0.243
H8 0.553 0.757 0.471
H9 0.667 0.109 0.971
H10 0.757 0.471 0.553
H11 0.891 0.029 0.333
H12 0.971 0.667 0.109
Ru1 0.500 0.500 0.500



Entry 2:
Here is a relaxed MnSb2Se crystal from Alexandria via LeMat-Bulk. Energies are from PBE.

Values from the calculation:
Crystal system: orthorhombic
Symmetry: Cmmm, No. 65
Total energy in eV/cell: -21.1

Lattice parameters (Å, degrees): 6.004 6.004 3.730 90.00 90.00 133.39
Fractional positions:
Mn1 0.000 0.000 0.000
Sb1 0.173 0.827 0.500
Sb2 0.827 0.173 0.500
Se1 0.500 0.500 0.000



Entry 3:
Here is a relaxed SrPrCrN4 crystal from Alexandria via LeMat-Bulk. Energies are from PBE.

Values from the calculation:
Crystal system: monoclinic
Symmetry: P2_1/m, No. 11
Total energy in eV/cell: -108.9

Lattice parameters (Å, degrees): 5.899 5.618 7.169 90.00 106.86 90.00
Fractional positions:
Sr1 0.212 0.250 0.428
Sr2 0.788 0.750 0.572
Pr1 0.280 0.250 0.948
Pr2 0.720 0.750 0.052
Cr1 0.268 0.750 0.195
Cr2 0.732 0.250 0.805
N1 0.075 0.750 0.340
N2 0.097 0.750 0.953
N3 0.457 0.508 0.231
N4 0.457 0.992 0.231
N5 0.543 0.008 0.769
N6 0.543 0.492 0.769
N7 0.903 0.250 0.047
N8 0.925 0.250 0.660



Entry 4:
Here is a relaxed SbNClF2 crystal from Alexandria via LeMat-Bulk. Energies are from PBE.

Values from the calculation:
Crystal system: tetragonal
Relative energy among the computed polymorphs in meV per atom: 0
Symmetry: P4/mmm, No. 123
Total energy in eV/cell: -20.0

Lattice parameters (Å, degrees): 4.254 4.254 4.393 90.00 90.00 90.00
Fractional positions:
Sb1 0.000 0.000 0.000
N1 0.000 0.000 0.500
Cl1 0.500 0.500 0.500
F1 0.000 0.500 0.000
F2 0.500 0.000 0.000



Entry 5:
Here is a relaxed Co2Re crystal from Alexandria via LeMat-Bulk. Energies are from PBE.

Values from the calculation:
Crystal system: cubic
Relative energy among the computed polymorphs in meV per atom: 1136
Symmetry: Pa-3, No. 205
Total energy in eV/cell: -93.6

Lattice parameters (Å, degrees): 5.600 5.600 5.600 90.00 90.00 90.00
Fractional positions:
Co1 0.118 0.118 0.118
Co2 0.118 0.382 0.618
Co3 0.382 0.618 0.118
Co4 0.382 0.882 0.618
Co5 0.618 0.118 0.382
Co6 0.618 0.382 0.882
Co7 0.882 0.618 0.382
Co8 0.882 0.882 0.882
Re1 0.000 0.000 0.500
Re2 0.000 0.500 0.000
Re3 0.500 0.000 0.000
Re4 0.500 0.500 0.500



Entry 6:
Here is a relaxed SrFe2Mo crystal from Alexandria via LeMat-Bulk. Energies are from PBE.

Values from the calculation:
Crystal system: monoclinic
Relative energy among the computed polymorphs in meV per atom: 466
Symmetry: P2/m, No. 10
Total energy in eV/cell: -25.7

Lattice parameters (Å, degrees): 2.883 4.875 4.870 90.00 90.12 90.00
Fractional positions:
Sr1 0.000 0.000 0.000
Fe1 0.500 0.000 0.500
Fe2 0.500 0.500 0.000
Mo1 0.000 0.500 0.500



Entry 7:
Here is a relaxed BeCr2Te crystal from Alexandria via LeMat-Bulk. Energies are from PBE.

Values from the calculation:
Crystal system: tetragonal
Relative energy among the computed polymorphs in meV per atom: 162
Symmetry: I4/mmm, No. 139
Total energy in eV/cell: -24.2

Lattice parameters (Å, degrees): 4.585 4.585 4.585 129.24 129.24 74.63
Fractional positions:
Be1 0.000 0.000 0.000
Cr1 0.250 0.750 0.500